To do.
Please copy the notes further below from the line with "1.51595" to the end without altering anything.

Excerpt.
Run i
An isolated molecule of C17H28N4O2S. Source: the OMol25 dataset; level of theory: wB97M-V/def2-TZVPD.

Positions of all 52 atoms, in Å:
C  4.25003  0.54321  -2.29691
C  3.57134  0.90619  -1.02113
C  2.97213  2.09568  -0.73393
S  2.31906  2.09132  0.85714
C  2.91997  0.46428  1.03501
C  2.62809  -0.33950  2.25648
N  1.56286  -1.29150  1.96631
C  2.01674  -2.54583  1.41799
C  0.29439  -0.81529  2.03597
O  0.08879  0.33057  2.39973
C  -0.86361  -1.73451  1.70377
C  -1.30891  -1.62642  0.21562
C  -0.59394  -2.70407  -0.60453
O  -0.53653  -3.85702  -0.20979
N  -0.05464  -2.34854  -1.78334
C  0.01741  -0.99876  -2.28682
C  -0.02511  -0.05838  -1.07709
N  -1.20685  -0.27655  -0.28689
C  -2.41215  0.36862  -0.76889
C  -2.82248  1.59199  0.08207
C  -3.11880  1.15728  1.51595
C  -1.69336  2.62147  0.10834
C  -4.07481  2.20686  -0.54795
N  3.52300  0.00355  -0.00599
H  3.90192  -0.42916  -2.63898
H  5.32521  0.47404  -2.13800
H  4.05194  1.29128  -3.05927
H  2.88344  2.96050  -1.35940
H  3.51500  -0.89435  2.56911
H  2.28903  0.32130  3.05740
H  1.19155  -3.18305  1.12255
H  2.64540  -2.35196  0.54425
H  2.61551  -3.07253  2.16577
H  -1.69068  -1.39734  2.32888
H  -0.65621  -2.77867  1.93144
H  -2.36188  -1.93729  0.19643
H  0.35731  -3.09709  -2.32277
H  -0.82769  -0.79317  -2.95761
H  0.94545  -0.86982  -2.84947
H  0.85138  -0.26086  -0.45644
H  0.01281  0.98099  -1.39906
H  -3.24620  -0.34175  -0.77004
H  -2.27294  0.70251  -1.80501
H  -3.85142  0.35262  1.53647
H  -3.51374  1.99402  2.08758
H  -2.20047  0.82430  1.98910
H  -2.00112  3.49808  0.67350
H  -1.43001  2.94115  -0.89875
H  -0.81995  2.19423  0.59263
H  -4.39423  3.07684  0.02063
H  -4.89247  1.48874  -0.56050
H  -3.87955  2.52178  -1.57155

* LUMO energy: 0.57 eV
* E_HOMO: -8.229 eV
* SMILES string: Cc1csc(CN(C)C(=O)C[C@@H]2C(=O)NCCN2CC(C)(C)C)n1

Run ii
An isolated molecule of C17H28N4O2S. Source: the OMol25 dataset; level of theory: wB97M-V/def2-TZVPD.

Positions of all 52 atoms, in Å:
C  7.48252  0.78679  -0.48118
C  6.36737  1.43189  0.34852
C  6.33222  2.94314  0.14006
C  5.06234  0.82028  -0.02545
N  4.13400  1.40901  -0.68584
N  3.06643  0.65628  -0.93032
C  3.16966  -0.53761  -0.45152
N  2.20475  -1.49272  -0.57807
C  2.31866  -2.72542  -0.00928
O  3.29481  -3.06358  0.62558
C  1.11623  -3.62030  -0.23910
C  -0.09701  -3.17258  0.58468
C  -0.85205  -2.01274  -0.05564
O  -0.48224  -1.45651  -1.07604
N  -1.97118  -1.66652  0.59721
C  -2.83712  -0.56985  0.18041
C  -4.24601  -1.12761  -0.06329
C  -5.00346  -0.48879  -1.23070
C  -5.05585  1.04064  -1.23657
C  -5.43205  1.65110  0.11940
C  -4.33851  2.53589  0.72328
C  -2.91521  1.97063  0.70190
C  -2.75278  0.54519  1.23908
S  4.67192  -0.84883  0.39201
H  8.44586  1.20550  -0.20050
H  7.31555  0.97477  -1.53940
H  7.50845  -0.28830  -0.31723
H  6.55307  1.21241  1.40674
H  5.54466  3.39041  0.73980
H  7.28610  3.38135  0.42359
H  6.13134  3.16807  -0.90314
H  1.33234  -1.24129  -1.05297
H  0.85518  -3.60781  -1.29881
H  1.40166  -4.63169  0.05099
H  0.21960  -2.87775  1.58833
H  -0.79059  -4.01068  0.68729
H  -2.22377  -2.15126  1.44434
H  -2.40712  -0.21769  -0.76190
H  -4.82935  -1.04988  0.85610
H  -4.15412  -2.19368  -0.28941
H  -4.54437  -0.81613  -2.16608
H  -6.02337  -0.88144  -1.21238
H  -4.09193  1.43059  -1.55775
H  -5.78127  1.34189  -1.99464
H  -5.68135  0.85782  0.82231
H  -6.33017  2.26323  0.01549
H  -4.31771  3.48823  0.18795
H  -4.61501  2.75379  1.75813
H  -2.30361  2.63877  1.31258
H  -2.50373  2.01540  -0.30704
H  -1.75635  0.47572  1.68345
H  -3.47741  0.36185  2.03500

* LUMO energy: 0.47 eV
* E_HOMO: -8.643 eV
* SMILES string: CC(C)c1nnc(NC(=O)CCC(=O)NC2CCCCCCC2)s1

Tell me which of them is the least stable. Sure, it is run ii.

Run i
A structure of composition C4H5O. Source: the OMol25 dataset; level of theory: wB97M-V/def2-TZVPD.

Positions of all 10 atoms, in Å:
C  -0.39778  -0.61145  0.65761
C  -0.08237  -0.59857  -0.81663
C  0.08122  0.48304  1.26058
C  0.62273  0.86019  -0.81118

Outcome.
C  -3.11880  1.15728  1.51595
C  -1.69336  2.62147  0.10834
C  -4.07481  2.20686  -0.54795
N  3.52300  0.00355  -0.00599
H  3.90192  -0.42916  -2.63898
H  5.32521  0.47404  -2.13800
H  4.05194  1.29128  -3.05927
H  2.88344  2.96050  -1.35940
H  3.51500  -0.89435  2.56911
H  2.28903  0.32130  3.05740
H  1.19155  -3.18305  1.12255
H  2.64540  -2.35196  0.54425
H  2.61551  -3.07253  2.16577
H  -1.69068  -1.39734  2.32888
H  -0.65621  -2.77867  1.93144
H  -2.36188  -1.93729  0.19643
H  0.35731  -3.09709  -2.32277
H  -0.82769  -0.79317  -2.95761
H  0.94545  -0.86982  -2.84947
H  0.85138  -0.26086  -0.45644
H  0.01281  0.98099  -1.39906
H  -3.24620  -0.34175  -0.77004
H  -2.27294  0.70251  -1.80501
H  -3.85142  0.35262  1.53647
H  -3.51374  1.99402  2.08758
H  -2.20047  0.82430  1.98910
H  -2.00112  3.49808  0.67350
H  -1.43001  2.94115  -0.89875
H  -0.81995  2.19423  0.59263
H  -4.39423  3.07684  0.02063
H  -4.89247  1.48874  -0.56050
H  -3.87955  2.52178  -1.57155

* LUMO energy: 0.57 eV
* E_HOMO: -8.229 eV
* SMILES string: Cc1csc(CN(C)C(=O)C[C@@H]2C(=O)NCCN2CC(C)(C)C)n1

Run ii
An isolated molecule of C17H28N4O2S. Source: the OMol25 dataset; level of theory: wB97M-V/def2-TZVPD.

Positions of all 52 atoms, in Å:
C  7.48252  0.78679  -0.48118
C  6.36737  1.43189  0.34852
C  6.33222  2.94314  0.14006
C  5.06234  0.82028  -0.02545
N  4.13400  1.40901  -0.68584
N  3.06643  0.65628  -0.93032
C  3.16966  -0.53761  -0.45152
N  2.20475  -1.49272  -0.57807
C  2.31866  -2.72542  -0.00928
O  3.29481  -3.06358  0.62558
C  1.11623  -3.62030  -0.23910
C  -0.09701  -3.17258  0.58468
C  -0.85205  -2.01274  -0.05564
O  -0.48224  -1.45651  -1.07604
N  -1.97118  -1.66652  0.59721
C  -2.83712  -0.56985  0.18041
C  -4.24601  -1.12761  -0.06329
C  -5.00346  -0.48879  -1.23070
C  -5.05585  1.04064  -1.23657
C  -5.43205  1.65110  0.11940
C  -4.33851  2.53589  0.72328
C  -2.91521  1.97063  0.70190
C  -2.75278  0.54519  1.23908
S  4.67192  -0.84883  0.39201
H  8.44586  1.20550  -0.20050
H  7.31555  0.97477  -1.53940
H  7.50845  -0.28830  -0.31723
H  6.55307  1.21241  1.40674
H  5.54466  3.39041  0.73980
H  7.28610  3.38135  0.42359
H  6.13134  3.16807  -0.90314
H  1.33234  -1.24129  -1.05297
H  0.85518  -3.60781  -1.29881
H  1.40166  -4.63169  0.05099
H  0.21960  -2.87775  1.58833
H  -0.79059  -4.01068  0.68729
H  -2.22377  -2.15126  1.44434
H  -2.40712  -0.21769  -0.76190
H  -4.82935  -1.04988  0.85610
H  -4.15412  -2.19368  -0.28941
H  -4.54437  -0.81613  -2.16608
H  -6.02337  -0.88144  -1.21238
H  -4.09193  1.43059  -1.55775
H  -5.78127  1.34189  -1.99464
H  -5.68135  0.85782  0.82231
H  -6.33017  2.26323  0.01549
H  -4.31771  3.48823  0.18795
H  -4.61501  2.75379  1.75813
H  -2.30361  2.63877  1.31258
H  -2.50373  2.01540  -0.30704
H  -1.75635  0.47572  1.68345
H  -3.47741  0.36185  2.03500

* LUMO energy: 0.47 eV
* E_HOMO: -8.643 eV
* SMILES string: CC(C)c1nnc(NC(=O)CCC(=O)NC2CCCCCCC2)s1

Tell me which of them is the least stable. Sure, it is run ii.

Run i
A structure of composition C4H5O. Source: the OMol25 dataset; level of theory: wB97M-V/def2-TZVPD.

Positions of all 10 atoms, in Å:
C  -0.39778  -0.61145  0.65761
C  -0.08237  -0.59857  -0.81663
C  0.08122  0.48304  1.26058
C  0.62273  0.86019  -0.81118